• Contents:
********
Entry 1:
Here is a cluster of 5 separate species, C26H32BF32O5PS in total in a non-equilibrium geometry from the OMol25 dataset. Energies are from the ωB97M-V functional and the def2-TZVPD basis.

Last column: Löwdin charge in e.
Positions of all 98 atoms, in Å:
C 4.87728 -5.94090 -0.78143  -0.103
O 3.81532 -5.53344 -1.62669  -0.205
C 4.04154 -4.30367 -2.29244  -0.227
C 4.09972 -3.08066 -1.37537  -0.179
C 2.72573 -2.47327 -1.07639  -0.200
C 1.95257 -3.20845 0.02524  -0.217
C 0.98467 -4.29556 -0.46761  -0.206
B -0.13655 -3.82496 -1.42435  -0.285
P -1.76380 -4.82126 -1.78381  0.314
S -2.92042 -3.93568 -3.10947  0.077
H 5.81190 -5.44451 -1.05258  0.090
H 4.66175 -5.67595 0.25903  0.083
H 4.99037 -7.02089 -0.83961  0.086
H 3.19385 -4.17856 -2.96990  0.122
H 4.93371 -4.36148 -2.92738  0.119
H 4.64728 -3.29180 -0.45629  0.108
H 4.68678 -2.32304 -1.90351  0.112
H 2.16816 -2.40108 -2.01058  0.093
H 2.89039 -1.44493 -0.74469  0.110
H 2.69896 -3.70846 0.64871  0.105
H 1.43850 -2.52134 0.69514  0.090
H 1.53581 -5.13624 -0.90837  0.109
H 0.48839 -4.73324 0.41084  0.098
H -0.03573 -2.80387 -2.02228  0.048
H -1.35421 -6.10620 -2.18737  -0.037
H -2.39806 -5.01513 -0.54079  -0.040
C -2.53437 0.28068 -6.07137  -0.044
C -2.67861 1.29373 -7.21666  -0.440
C -3.66543 2.44633 -7.02573  -0.305
F -4.93460 1.98580 -6.91010  0.077
F -3.62126 3.25258 -8.10798  0.102
F -2.94840 0.65368 -8.37331  0.139
F -1.45897 1.89317 -7.34926  0.104
O -3.23397 -0.93667 -6.19993  0.049
C -4.51572 -1.08623 -5.73565  -0.543
C -5.46443 -1.48648 -6.86858  -0.280
F -5.49009 -0.52758 -7.81833  0.096
F -6.71290 -1.62223 -6.36714  0.100
F -4.95499 0.01437 -5.08809  0.146
F -4.51220 -2.10106 -4.85028  0.080
H -1.48607 -0.01236 -6.09739  0.150
H -2.70009 0.74614 -5.09937  0.149
H -3.41376 3.03666 -6.13973  0.173
H -5.14138 -2.42909 -7.31349  0.177
C -8.11804 4.64831 -7.71216  -0.038
C -6.90015 5.44216 -7.21845  -0.440
C -6.26588 5.01034 -5.89643  -0.301
F -7.12137 5.16741 -4.86543  0.099
F -5.18010 5.78668 -5.65290  0.092
F -7.19272 6.76043 -7.17560  0.136
F -5.92726 5.26557 -8.15673  0.104
O -9.39158 5.21476 -7.47397  0.050
C -10.09395 4.95556 -6.32870  -0.546
C -10.39151 6.25033 -5.56591  -0.286
F -9.24243 6.85073 -5.19960  0.102
F -11.09336 5.94867 -4.44932  0.098
F -9.48566 4.04787 -5.54334  0.153
F -11.29180 4.43743 -6.69166  0.142
H -8.02505 4.65428 -8.79667  0.150
H -8.06931 3.60375 -7.40377  0.150
H -5.94121 3.96821 -5.94067  0.153
H -10.97225 6.93020 -6.19204  0.175
C 0.33548 -0.65625 4.96365  -0.040
C 0.72746 -1.58742 3.80783  -0.441
C 0.78058 -3.09080 4.08685  -0.298
F 1.72709 -3.38688 4.99801  0.102
F 1.09617 -3.72147 2.92986  0.090
F 1.89518 -1.18436 3.26461  0.136
F -0.24241 -1.43929 2.85609  0.099
O 1.38990 -0.00006 5.63710  0.053
C 2.01278 -0.55962 6.71922  -0.539
C 3.51053 -0.73038 6.45617  -0.283
F 3.71226 -1.56288 5.41629  0.109
F 4.08297 -1.27857 7.55801  0.093
F 1.43743 -1.71482 7.10351  0.152
F 1.89895 0.31012 7.75280  0.142
H -0.21852 0.15166 4.48870  0.150
H -0.35483 -1.14017 5.65473  0.149
H -0.18785 -3.45872 4.43625  0.175
H 3.96674 0.23070 6.24046  0.156
C 6.19834 2.29091 9.14392  -0.041
C 6.71254 1.27647 8.11155  -0.429
C 6.96074 -0.15798 8.58268  -0.308
F 7.94339 -0.18949 9.50460  0.100
F 7.35424 -0.89313 7.51732  0.101
F 7.81207 1.75657 7.50051  0.144
F 5.72718 1.18466 7.15927  0.082
O 7.15138 3.16451 9.71227  0.050
C 7.83896 2.84280 10.85303  -0.544
C 9.34975 2.84233 10.59837  -0.286
F 9.66499 1.91945 9.66900  0.103
F 9.98531 2.52902 11.74987  0.101
F 7.42574 1.68130 11.39232  0.153
F 7.59919 3.81738 11.76128  0.143
H 5.54320 2.95073 8.57731  0.149
H 5.57579 1.81301 9.90067  0.149
H 6.05104 -0.59599 8.99775  0.163
H 9.67320 3.82706 10.25582  0.176
********
• Job:
Echo the lines earlier on from the one with "0.110" to the one with "0.177" without altering anything, please.
• Result:
H 2.89039 -1.44493 -0.74469  0.110
H 2.69896 -3.70846 0.64871  0.105
H 1.43850 -2.52134 0.69514  0.090
H 1.53581 -5.13624 -0.90837  0.109
H 0.48839 -4.73324 0.41084  0.098
H -0.03573 -2.80387 -2.02228  0.048
H -1.35421 -6.10620 -2.18737  -0.037
H -2.39806 -5.01513 -0.54079  -0.040
C -2.53437 0.28068 -6.07137  -0.044
C -2.67861 1.29373 -7.21666  -0.440
C -3.66543 2.44633 -7.02573  -0.305
F -4.93460 1.98580 -6.91010  0.077
F -3.62126 3.25258 -8.10798  0.102
F -2.94840 0.65368 -8.37331  0.139
F -1.45897 1.89317 -7.34926  0.104
O -3.23397 -0.93667 -6.19993  0.049
C -4.51572 -1.08623 -5.73565  -0.543
C -5.46443 -1.48648 -6.86858  -0.280
F -5.49009 -0.52758 -7.81833  0.096
F -6.71290 -1.62223 -6.36714  0.100
F -4.95499 0.01437 -5.08809  0.146
F -4.51220 -2.10106 -4.85028  0.080
H -1.48607 -0.01236 -6.09739  0.150
H -2.70009 0.74614 -5.09937  0.149
H -3.41376 3.03666 -6.13973  0.173
H -5.14138 -2.42909 -7.31349  0.177